### Brief
Please search the lines further down for the word "to" and set down each line that has it.

### Excerpt
+++
This entry pairs a crystal structure of NbTc with its calculated powder X-ray diffraction pattern. Radiation: Cu Kα, 1.54184 Å. Structure: a GGA-PBE-relaxed structure.
Lines closer than 0.1° are merged.

Most intense lines, 2θ from 5° to 70°, low angle first:
two_theta	Rel. int.
38.83	27
39.86	100
40.84	23
57.63	25

Cell and atoms:
```
NbTc
1.0
1.5988 -2.3192 0.0000
1.5988 2.3192 0.0000
0.0000 0.0000 4.4193
Nb Tc
1 1
Cartesian
0.0000 0.0000 0.0000 Nb
1.5988 0.0000 2.2096 Tc
```

This entry pairs a crystal structure of TiNbTc2 with its calculated powder X-ray diffraction pattern. Radiation: Cu Kα, 1.54184 Å. Structure: a GGA-PBE-relaxed structure.
Lines closer than 0.1° are merged.

Most intense lines, 2θ from 5° to 70°, low angle first:
two_theta	Rel. int.
24.44	5
28.29	4
40.44	100
47.82	3
50.09	1
58.52	16
64.37	1
66.25	1

Cell and atoms:
```
TiNbTc2
1.0
0.0000 3.1544 3.1544
3.1544 0.0000 3.1544
3.1544 3.1544 0.0000
Ti Nb Tc
1 1 2
Cartesian
0.0000 0.0000 0.0000 Ti
3.1544 3.1544 3.1544 Nb
1.5772 1.5772 1.5772 Tc
4.7316 4.7316 4.7316 Tc
```

This entry pairs a crystal structure of ZrNbTc2 with its calculated powder X-ray diffraction pattern. Radiation: Cu Kα, 1.54184 Å. Structure: a GGA-PBE-relaxed structure.
Lines closer than 0.1° are merged.

Most intense lines, 2θ from 5° to 70°, low angle first:
two_theta	Rel. int.
39.29	100
56.78	17

Cell and atoms:
```
ZrNbTc2
1.0
0.0000 3.2428 3.2428
3.2428 0.0000 3.2428
3.2428 3.2428 0.0000
Zr Nb Tc
1 1 2
Cartesian
0.0000 0.0000 0.0000 Zr
3.2428 3.2428 3.2428 Nb
1.6214 1.6214 1.6214 Tc
4.8642 4.8642 4.8642 Tc
```

This entry pairs a crystal structure of NbTe2 with its calculated powder X-ray diffraction pattern. Radiation: Cu Kα, 1.54184 Å. Structure: a GGA-PBE-relaxed structure.
Lines closer than 0.1° are merged.

Most intense lines, 2θ from 5° to 70°, low angle first:
two_theta	Rel. int.
13.00	24
30.10	44
30.73	20
31.04	100
37.70	15
38.37	30
38.74	14
48.72	26
48.91	14
49.66	16

Cell and atoms:
```
NbTe2
1.0
7.4762 -1.8357 0.0000
7.4762 1.8357 0.0000
-3.4435 0.0000 8.9054
Nb Te
3 6
Cartesian
0.0000 0.0000 0.0000 Nb
2.9653 0.0000 6.3404 Nb
8.5436 0.0000 2.5649 Nb
-0.9842 0.0000 2.7445 Te
3.1037 0.0000 3.4045 Te
1.8572 0.0000 8.8076 Te
9.6517 0.0000 0.0978 Te
8.4052 0.0000 5.5009 Te
12.4931 0.0000 6.1608 Te
```

This entry pairs a crystal structure of NbTe4 with its calculated powder X-ray diffraction pattern. Radiation: Cu Kα, 1.54184 Å. Structure: a GGA-PBE-relaxed structure.
Lines closer than 0.1° are merged.

Most intense lines, 2θ from 5° to 70°, low angle first:
two_theta	Rel. int.
13.39	33
25.57	28
32.04	22
32.90	100
37.50	22
39.99	12
43.26	20
49.93	31
59.10	10
65.62	13

Cell and atoms:
```
NbTe4
1.0
6.6133 0.0000 0.0000
0.0000 6.6133 0.0000
0.0000 0.0000 6.9672
Nb Te
2 8
Cartesian
0.0000 0.0000 1.7418 Nb
0.0000 0.0000 5.2254 Nb
0.9342 2.1372 0.0000 Te
0.9342 4.4761 3.4836 Te
2.1372 0.9342 3.4836 Te
2.1372 5.6791 0.0000 Te
4.4761 0.9342 0.0000 Te
4.4761 5.6791 3.4836 Te
5.6791 2.1372 3.4836 Te
5.6791 4.4761 0.0000 Te
```

This entry pairs a crystal structure of NbTe2 with its calculated powder X-ray diffraction pattern. Radiation: Cu Kα, 1.54184 Å. Structure: a GGA-PBE-relaxed structure.
Lines closer than 0.1° are merged.

Most intense lines, 2θ from 5° to 70°, low angle first:
two_theta	Rel. int.
12.30	20
24.75	12
30.59	100
37.64	49
47.39	27
49.35	27
50.77	8
55.98	7
59.19	15
63.66	13

Cell and atoms:
```
NbTe2
1.0
3.6930 0.0000 0.0000
-1.8465 3.1983 0.0000
0.0000 0.0000 7.1933
Nb Te
1 2
Cartesian
0.0000 0.0000 0.0000 Nb
0.0000 2.1322 1.8411 Te
1.8465 1.0661 5.3522 Te
```

This entry pairs a crystal structure of Nb7Te6 with its calculated powder X-ray diffraction pattern. Radiation: Cu Kα, 1.54184 Å. Structure: a GGA-PBE-relaxed structure.
Lines closer than 0.1° are merged.

Most intense lines, 2θ from 5° to 70°, low angle first:
two_theta	Rel. int.
12.29	29
30.23	32
30.34	35
30.46	62
35.10	97
35.18	100
38.93	57
39.53	60
43.43	68
47.41	48

Cell and atoms:
```
Nb7Te6
1.0
+++

### Written answer
Most intense lines, 2θ from 5° to 70°, low angle first:
Most intense lines, 2θ from 5° to 70°, low angle first:
Most intense lines, 2θ from 5° to 70°, low angle first:
Most intense lines, 2θ from 5° to 70°, low angle first:
Most intense lines, 2θ from 5° to 70°, low angle first:
Most intense lines, 2θ from 5° to 70°, low angle first:
Most intense lines, 2θ from 5° to 70°, low angle first: